+++
The following is a GGA-PBE calculation of a relaxed structure of Li5FeAgN2, from Alexandria via LeMat-Bulk.

Formation energy without anion corrections: -0.202 eV per atom
Space group: P4/mmm
Calculated volume: 14.23 A^3/atom

extended XYZ file:
```
9
Lattice="-0.1976 -1.9112 -3.6743 3.8755 -1.3825 0.5108 -2.6249 -6.1282 3.3287" Properties=species:S:1:pos:R:3 pbc="T T T"
N -2.0258 -4.7296 2.5690
N -0.5991 -1.3986 0.7597
Li -1.3124 -3.0641 1.6644
Li -2.1598 -5.7674 0.7766
Li -0.1233 -5.5031 2.8691
Li 1.3739 -2.0077 0.9704
Li -0.6626 -2.2720 -1.1221
Fe 0.0000 0.0000 0.0000
Ag 0.5265 -4.7110 0.0826
```

***

The following is a GGA-PBE calculation of a relaxed structure of LiFeAgP2, from Alexandria via LeMat-Bulk.

Formation energy: 959 meV per atom
Space group: P4/mmm
Calculated volume: 19.93 A^3/atom

extended XYZ file:
```
5
Lattice="-0.9760 3.3981 3.1995 -4.0479 -1.6134 0.4788 1.5487 -2.8478 3.4969" Properties=species:S:1:pos:R:3 pbc="T T T"
P 0.7744 -1.4239 1.7485
P -0.4880 1.6991 1.5998
Fe -1.7376 -0.5315 3.5876
Li -2.0240 -0.8067 0.2394
Ag 0.0000 0.0000 0.0000
```

***

The following is a GGA-PBE calculation of a relaxed structure of Li2FeAgPt, from Alexandria via LeMat-Bulk.

Formation energy: 694 meV per atom
Energy above the lowest structure with this stoichiometry: 49 meV per atom
Space group: P4/mmm
Calculated volume: 18.17 A^3/atom

extended XYZ file:
```
5
Lattice="-4.0768 1.3185 0.4616 -0.6251 -3.2068 3.6390 1.2838 2.9745 2.8418" Properties=species:S:1:pos:R:3 pbc="T T T"
Li -2.0384 0.6593 0.2308
Li 0.6419 1.4873 1.4209
Ag 0.0000 0.0000 0.0000
Fe -0.3126 -1.6034 1.8195
Pt -1.7091 0.5431 3.4712
```

***

The following is a GGA-PBE calculation of a relaxed structure of Li2FeAgPt, from Alexandria via LeMat-Bulk.

Formation energy: 645 meV per atom
Energy above the lowest structure with this stoichiometry: 0 meV per atom
Space group: P4/mmm
Calculated volume: 20.89 A^3/atom

extended XYZ file:
```
5
Lattice="-1.2108 0.7394 -4.2581 -4.7965 -1.6454 1.0782 -1.1977 4.1914 1.0684" Properties=species:S:1:pos:R:3 pbc="T T T"
Li -0.6054 0.3697 -2.1290
Li -0.5988 2.0957 0.5342
Fe -3.6025 1.6427 -1.0558
Pt 0.0000 0.0000 0.0000
Ag -2.3983 -0.8227 0.5391
```

***

The following is a GGA-PBE calculation of a relaxed structure of LiZrFe2Ag, from Alexandria via LeMat-Bulk.

Formation energy: 626 meV per atom
Energy above the lowest structure with this stoichiometry: 0 meV per atom
Space group: P4/mmm
Calculated volume: 15.12 A^3/atom

extended XYZ file:
```
5
Lattice="-0.7677 3.8466 -1.5281 -3.8778 -1.2691 -1.2466 -1.5785 1.1646 3.7246" Properties=species:S:1:pos:R:3 pbc="T T T"
Zr -3.1120 1.8711 0.4749
Li 0.0000 0.0000 0.0000
Fe -0.7893 0.5823 1.8623
Fe -0.3838 1.9233 -0.7641
Ag -1.9389 -0.6346 -0.6233
```

***

The following is a GGA-PBE calculation of a relaxed structure of LiZrFe2Ag, from Alexandria via LeMat-Bulk.

Formation energy: 1298 meV per atom
Energy above the lowest structure with this stoichiometry: 672 meV per atom
Space group: P4/mmm
Calculated volume: 20.73 A^3/atom

extended XYZ file:
```
5
Lattice="-1.1712 2.5512 3.5612 3.1748 -2.6119 2.9152 3.3213 2.9208 -1.0001" Properties=species:S:1:pos:R:3 pbc="T T T"
Li 1.5874 -1.3060 1.4576
Zr 0.0000 0.0000 0.0000
Ag 2.6625 1.4300 2.7381
Fe 1.6606 1.4604 -0.5001
Fe -0.5856 1.2756 1.7806
```

* * * * *

Crystalline K3Y3BiO8 at its relaxed geometry. Source: the Alexandria database, functional PBE-GGA.

Geometry as extended XYZ:
```
15
Lattice="6.9644 -0.0005 0.0005 -3.4826 6.0316 -0.0225 0.0008 -3.9992 6.3614" Properties=species:S:1:pos:R:3 pbc="T T T"
O 1.7129 -1.0154 2.0236
O 5.2518 -1.0160 2.0238
O 0.0000 2.0168 2.0268
O 3.4818 2.0496 2.0122
O -1.7693 3.0478 4.3155
O 1.7696 3.0473 4.3157
O 0.0007 -0.0178 4.3271
O 3.4825 0.0150 4.3126
Bi 0.0004 -1.9996 3.1807
Y 1.7412 1.0159 3.1697
Y -1.7409 1.0162 3.1694
Y 3.4826 -1.9999 3.1809
K 0.0000 0.0000 0.0000
K -1.7413 3.0158 -0.0113
K 1.7409 3.0155 -0.0110
```

Computed properties:
Calculated density: 4.49 g cm⁻³
+++
Your job: write out the whole of the listing above exactly.
The following is a GGA-PBE calculation of a relaxed structure of Li5FeAgN2, from Alexandria via LeMat-Bulk.

Formation energy without anion corrections: -0.202 eV per atom
Space group: P4/mmm
Calculated volume: 14.23 A^3/atom

extended XYZ file:
```
9
Lattice="-0.1976 -1.9112 -3.6743 3.8755 -1.3825 0.5108 -2.6249 -6.1282 3.3287" Properties=species:S:1:pos:R:3 pbc="T T T"
N -2.0258 -4.7296 2.5690
N -0.5991 -1.3986 0.7597
Li -1.3124 -3.0641 1.6644
Li -2.1598 -5.7674 0.7766
Li -0.1233 -5.5031 2.8691
Li 1.3739 -2.0077 0.9704
Li -0.6626 -2.2720 -1.1221
Fe 0.0000 0.0000 0.0000
Ag 0.5265 -4.7110 0.0826
```

***

The following is a GGA-PBE calculation of a relaxed structure of LiFeAgP2, from Alexandria via LeMat-Bulk.

Formation energy: 959 meV per atom
Space group: P4/mmm
Calculated volume: 19.93 A^3/atom

extended XYZ file:
```
5
Lattice="-0.9760 3.3981 3.1995 -4.0479 -1.6134 0.4788 1.5487 -2.8478 3.4969" Properties=species:S:1:pos:R:3 pbc="T T T"
P 0.7744 -1.4239 1.7485
P -0.4880 1.6991 1.5998
Fe -1.7376 -0.5315 3.5876
Li -2.0240 -0.8067 0.2394
Ag 0.0000 0.0000 0.0000
```

***

The following is a GGA-PBE calculation of a relaxed structure of Li2FeAgPt, from Alexandria via LeMat-Bulk.

Formation energy: 694 meV per atom
Energy above the lowest structure with this stoichiometry: 49 meV per atom
Space group: P4/mmm
Calculated volume: 18.17 A^3/atom

extended XYZ file:
```
5
Lattice="-4.0768 1.3185 0.4616 -0.6251 -3.2068 3.6390 1.2838 2.9745 2.8418" Properties=species:S:1:pos:R:3 pbc="T T T"
Li -2.0384 0.6593 0.2308
Li 0.6419 1.4873 1.4209
Ag 0.0000 0.0000 0.0000
Fe -0.3126 -1.6034 1.8195
Pt -1.7091 0.5431 3.4712
```

***

The following is a GGA-PBE calculation of a relaxed structure of Li2FeAgPt, from Alexandria via LeMat-Bulk.

Formation energy: 645 meV per atom
Energy above the lowest structure with this stoichiometry: 0 meV per atom
Space group: P4/mmm
Calculated volume: 20.89 A^3/atom

extended XYZ file:
```
5
Lattice="-1.2108 0.7394 -4.2581 -4.7965 -1.6454 1.0782 -1.1977 4.1914 1.0684" Properties=species:S:1:pos:R:3 pbc="T T T"
Li -0.6054 0.3697 -2.1290
Li -0.5988 2.0957 0.5342
Fe -3.6025 1.6427 -1.0558
Pt 0.0000 0.0000 0.0000
Ag -2.3983 -0.8227 0.5391
```

***

The following is a GGA-PBE calculation of a relaxed structure of LiZrFe2Ag, from Alexandria via LeMat-Bulk.

Formation energy: 626 meV per atom
Energy above the lowest structure with this stoichiometry: 0 meV per atom
Space group: P4/mmm
Calculated volume: 15.12 A^3/atom

extended XYZ file:
```
5
Lattice="-0.7677 3.8466 -1.5281 -3.8778 -1.2691 -1.2466 -1.5785 1.1646 3.7246" Properties=species:S:1:pos:R:3 pbc="T T T"
Zr -3.1120 1.8711 0.4749
Li 0.0000 0.0000 0.0000
Fe -0.7893 0.5823 1.8623
Fe -0.3838 1.9233 -0.7641
Ag -1.9389 -0.6346 -0.6233
```

***

The following is a GGA-PBE calculation of a relaxed structure of LiZrFe2Ag, from Alexandria via LeMat-Bulk.

Formation energy: 1298 meV per atom
Energy above the lowest structure with this stoichiometry: 672 meV per atom
Space group: P4/mmm
Calculated volume: 20.73 A^3/atom

extended XYZ file:
```
5
Lattice="-1.1712 2.5512 3.5612 3.1748 -2.6119 2.9152 3.3213 2.9208 -1.0001" Properties=species:S:1:pos:R:3 pbc="T T T"
Li 1.5874 -1.3060 1.4576
Zr 0.0000 0.0000 0.0000
Ag 2.6625 1.4300 2.7381
Fe 1.6606 1.4604 -0.5001
Fe -0.5856 1.2756 1.7806
```

* * * * *

Crystalline K3Y3BiO8 at its relaxed geometry. Source: the Alexandria database, functional PBE-GGA.

Geometry as extended XYZ:
```
15
Lattice="6.9644 -0.0005 0.0005 -3.4826 6.0316 -0.0225 0.0008 -3.9992 6.3614" Properties=species:S:1:pos:R:3 pbc="T T T"
O 1.7129 -1.0154 2.0236
O 5.2518 -1.0160 2.0238
O 0.0000 2.0168 2.0268
O 3.4818 2.0496 2.0122
O -1.7693 3.0478 4.3155
O 1.7696 3.0473 4.3157
O 0.0007 -0.0178 4.3271
O 3.4825 0.0150 4.3126
Bi 0.0004 -1.9996 3.1807
Y 1.7412 1.0159 3.1697
Y -1.7409 1.0162 3.1694
Y 3.4826 -1.9999 3.1809
K 0.0000 0.0000 0.0000
K -1.7413 3.0158 -0.0113
K 1.7409 3.0155 -0.0110
```

Computed properties:
Calculated density: 4.49 g cm⁻³